== Contents ==
=====
The following is a PBE calculation of crystalline Sc5TlPt at its relaxed geometry, from Alexandria.

```
Sc5TlPt
1.0
5.3507 -0.6560 -0.1237
1.0755 5.2824 -0.1237
2.3733 1.7086 10.8564
Sc Pt Tl
10 2 2
Direct
0.4863 0.7866 0.9305
0.9256 0.5583 0.1235
0.0100 0.9900 0.7500
0.5583 0.9256 0.6235
0.9900 0.0100 0.2500
0.5137 0.2134 0.0695
0.7866 0.4863 0.4305
0.0744 0.4417 0.8765
0.4417 0.0744 0.3765
0.2134 0.5137 0.5695
0.0000 0.0000 0.5000
0.0000 0.0000 0.0000
0.6071 0.3929 0.7500
0.3929 0.6071 0.2500
```

energy of formation from the pure elements: -233 kJ/mol of formula units


The following is a PBE calculation of crystalline HoNp4N5 at its relaxed geometry, from Alexandria.

```
HoNp4N5
1.0
4.3946 0.0000 2.1196
2.1973 5.4590 1.0598
-0.1743 0.0000 5.9768
Np N Ho
4 5 1
Direct
0.2018 0.1983 0.4002
0.6020 0.5998 0.1983
0.8003 0.8017 0.5998
0.4000 0.4002 0.8017
0.1027 0.5963 0.2002
0.8993 0.4037 0.7998
0.5011 0.0000 0.0000
0.3029 0.7998 0.5963
0.6991 0.2002 0.4037
0.0010 0.0000 0.0000
```

E_form (uncorrected): -1.23 eV per atom


The following is a PBE calculation of crystalline Na5Tl6Ag at its relaxed geometry, from Alexandria.

```
Na5Tl6Ag
1.0
4.7608 -0.0254 1.5866
0.0414 8.6055 0.0138
-0.0172 -0.0127 7.9876
Na Tl Ag
5 6 1
Direct
0.3303 0.5000 0.3395
0.6657 0.0000 0.6685
0.3343 0.0000 0.3315
0.0000 0.5000 0.0000
0.6697 0.5000 0.6605
0.5000 0.2357 0.0000
0.1563 0.2346 0.6874
0.5000 0.7643 0.0000
0.8437 0.2346 0.3126
0.1563 0.7654 0.6874
0.8437 0.7654 0.3126
0.0000 0.0000 0.0000
```

energy of formation from the pure elements: -79 kJ/mol of formula units


The following is a PBE calculation of crystalline ThAl3Au at its relaxed geometry, from Alexandria.

```
ThAl3Au
1.0
4.1293 0.0015 1.4265
-0.4903 4.0990 1.4297
0.1811 0.1991 6.1662
Al Th Au
3 1 1
Direct
0.7932 0.5968 0.1192
0.1507 0.4530 0.4051
0.6497 0.9543 0.4051
0.3899 0.1934 0.9258
0.0244 0.8277 0.6560
```

energy above the most stable polymorph in this dataset: 0.0 meV per atom
energy of formation from the pure elements: -273 kJ/mol of formula units


The following is a PBE calculation of crystalline CaNd2Sc at its relaxed geometry, from Alexandria.

```
CaNd2Sc
1.0
-0.1390 1.9382 -4.4619
2.3784 -4.2216 -1.9079
-4.6303 -2.2350 -0.8266
Nd Ca Sc
2 1 1
Direct
0.0000 0.5000 0.0000
0.0000 0.0000 0.5000
0.5000 0.5000 0.5000
0.5000 0.0000 0.0000
```

energy above the most stable polymorph in this dataset: 74.6 meV per atom
energy of formation from the pure elements: 53 kJ/mol of formula units


The following is a PBE calculation of crystalline CeSm2SnN at its relaxed geometry, from Alexandria.

```
CeSm2SnN
1.0
4.8393 0.0000 0.0000
0.0000 4.9732 0.0000
0.0000 0.0000 4.9732
Sm N Ce Sn
2 1 1 1
Direct
0.0000 0.5000 0.0000
0.0000 0.0000 0.5000
0.0000 0.0000 0.0000
0.5000 0.0000 0.0000
0.5000 0.5000 0.5000
```

E_form (uncorrected): -0.97 eV per atom


The following is a PBE calculation of crystalline NaZn2BO4 at its relaxed geometry, from Alexandria.

```
NaZn2BO4
1.0
-2.9732 -1.9024 3.2772
3.7841 -1.7100 2.4403
-0.2562 4.8580 -0.9519
Na B O Zn
1 1 4 2
Direct
0.0001 0.0001 0.0001
0.5000 0.5000 0.0001
0.4343 0.7994 0.2337
0.7994 0.4343 0.2337
0.5657 0.5657 0.7664
0.2007 0.2007 0.7664
0.2500 0.7500 0.5001
0.7500 0.2500 0.5001
```

E_form (uncorrected): -1.80 eV per atom


The following is a PBE calculation of crystalline SnAsHOsBr at its relaxed geometry, from Alexandria.

```
SnAsHOsBr
1.0
-0.9673 2.9786 -1.1047
-4.3892 0.7590 1.3071
0.5557 2.9424 6.3939
As H Os Sn Br
1 1 1 1 1
Direct
0.1368 0.2996 0.5491
0.1108 0.3783 0.3098
0.4410 0.7123 0.5748
0.8881 0.8938 0.2493
0.4786 0.5511 0.9474
```

energy above the most stable polymorph in this dataset: 219.9 meV per atom


The following is a PBE calculation of crystalline SrAuSe at its relaxed geometry, from Alexandria.

```
SrAuSe
1.0
-6.3201 -2.9149 2.0929
3.5616 -5.0552 -3.8183
4.4273 1.6435 6.8059
Au Se Sr
4 4 4
Direct
0.1250 0.8750 0.7500
0.1250 0.8750 0.2500
0.6250 0.8750 0.7500
0.1250 0.3750 0.2500
0.5221 0.0221 0.5000
=====
== Work order ==
Say how many lines of the entries further up hold the word "per", as a bare number, please.
== Solution ==
6